**Activity**
Next, write out the part of the notes underneath that starts with the line with "4.3436 -3.5344" and stops after the one with "HOMO in".

**Source**
'''
ORCA calculation (wB97M-V/def2-TZVPD) on a structure of composition C17H15AsBF2N2PReS4 at a distorted geometry.

Computed properties:
Net charge: +3
LUMO energy (spin up / spin down) in eV: -12.2 / -12.2
HOMO (spin up / spin down) in eV: -17.9 / -17.9
E_tot in eV: -142537.814
Kohn-Sham gap (spin up / spin down) in Ha: 0.20847 / 0.20972

```
44
Properties=species:S:1:pos:R:3:forces:R:3
Re -1.6299 -0.5673 -0.0611 0.974 0.452 1.159
As -4.0085 -2.7928 -0.1381 0.973 0.608 -0.430
S -3.7760 -0.5538 -0.5314 -0.692 -0.190 -0.294
S -5.1785 -3.6232 1.3971 -0.422 -0.579 -1.373
S -1.6924 -2.7494 -0.0374 -0.121 -0.191 -0.142
S -5.1632 -4.0818 -1.3504 -0.377 -0.067 1.601
P 0.6903 -0.3213 -0.6101 -0.344 0.313 -0.462
F -2.8180 -1.2569 2.7241 -0.049 -0.120 0.172
F -2.2214 0.9473 2.4835 -0.016 0.012 0.070
N 0.6873 1.2243 -1.2467 0.417 -0.152 0.069
N -1.5506 1.4857 -0.6790 -0.022 0.531 -0.340
C 0.8056 1.3747 3.0759 0.051 0.052 0.082
C 0.3578 -0.9670 3.4684 0.020 -0.040 -0.027
C -2.6553 2.3114 -0.6193 0.176 -0.022 0.050
C -1.4537 4.1594 -1.5127 -0.247 0.110 0.032
C 2.7400 -2.1214 -0.6463 -0.060 0.124 -0.025
C -0.3308 3.3773 -1.5817 0.086 -0.299 0.076
C -2.6458 3.6162 -1.0112 0.130 -0.110 0.009
C 2.4134 -0.8174 -2.6842 -0.162 -0.022 -0.018
C 0.3896 -1.2097 2.1012 0.380 -0.392 0.086
C -0.4086 2.0479 -1.1639 -0.323 0.012 -0.064
C 0.8048 1.1566 1.7233 -0.164 -0.163 -0.309
C 0.5646 0.3168 3.9535 0.010 -0.110 0.085
C 2.0501 -1.1308 -1.3661 0.135 -0.457 0.275
C 4.1662 -2.4564 -2.5451 0.010 -0.012 -0.007
C 0.6046 -0.1528 1.1846 -0.117 0.636 0.130
C 3.7968 -2.7797 -1.2430 0.022 0.007 -0.031
C 3.4792 -1.4811 -3.2603 0.058 -0.024 0.009
B -2.2747 -0.2816 2.0490 -0.029 0.018 -0.279
H 3.7756 -1.2414 -4.2718 -0.001 0.006 -0.012
H -3.5522 1.8805 -0.2028 -0.016 0.010 -0.003
H 0.6008 3.7700 -1.9653 0.035 -0.032 0.000
H 4.3436 -3.5344 -0.6950 0.000 0.005 0.009
H 2.4785 -2.3523 0.3785 -0.012 -0.003 0.026
H -1.4177 5.1890 -1.8442 -0.007 0.014 0.006
H 1.0052 2.3624 3.4689 -0.016 0.024 -0.036
H 0.2106 -1.7928 4.1513 -0.008 -0.002 0.004
H -3.5447 4.2081 -0.9276 -0.023 0.012 0.001
H 0.3701 -2.2388 1.7653 -0.175 0.036 -0.059
H 5.0000 -2.9688 -3.0071 -0.009 0.002 0.004
H 1.5632 1.6433 -1.5388 -0.033 -0.016 -0.069
H 0.5642 0.4971 5.0217 -0.009 -0.023 -0.010
H 0.9900 1.9877 1.0583 0.005 0.025 0.017
H 1.8702 -0.0829 -3.2644 -0.026 0.018 0.018
```
Forces are in eV/Å.



ORCA calculation (wB97M-V/def2-TZVPD) on a cluster of 2 separate species, C7H14 in total.

Computed properties:
LUMO energy in eV: 1.1
HOMO in eV: -6.9
E_tot in eV: -7480.443
Kohn-Sham gap in Ha: 0.29372

```
21
Properties=species:S:1:pos:R:3:forces:R:3
C 2.0941 -0.8990 1.4153 0.160 0.054 0.223
C 0.3086 0.6702 0.5382 0.057 0.025 -0.022
C 0.7712 -0.7170 0.9136 -0.155 0.070 0.103
C -1.1921 1.0190 -1.5908 0.029 -0.093 -0.165
C 0.6064 -1.6678 -0.9796 -0.088 -0.076 -0.229
C -1.4966 2.1325 -0.6300 -0.049 0.171 0.061
C -1.0505 0.7929 -0.1135 -0.010 -0.113 0.102
H -1.8267 0.1862 0.3532 0.114 0.097 -0.080
H 1.0191 -2.6854 -1.0287 -0.005 0.136 0.082
H 2.3204 -1.7346 2.0655 -0.034 0.117 -0.111
H 1.0782 1.1539 -0.0769 -0.104 -0.064 0.072
H -2.5327 2.4241 -0.4832 0.175 -0.068 -0.032
H 1.0054 -1.0522 -1.7930 -0.020 -0.046 0.137
H -0.7894 2.9567 -0.5678 -0.096 -0.158 -0.010
H 0.0029 -1.3765 1.3131 0.112 0.097 -0.054
H -0.4828 -1.7175 -1.0473 0.158 0.024 0.051
H 1.5824 -1.3763 0.1425 -0.104 -0.116 -0.269
H 2.8348 -0.1247 1.2502 -0.112 -0.104 0.022
H -0.2799 1.0908 -2.1778 -0.139 -0.007 0.123
H 0.3083 1.2064 1.4986 -0.013 -0.040 -0.100
H -2.0172 0.5396 -2.1099 0.122 0.092 0.097
```
Forces are in eV/Å.



ORCA calculation (wB97M-V/def2-TZVPD) on an isolated molecule of C5H8N4 at a distorted geometry.

Computed properties:
LUMO energy (spin up / spin down) in eV: -1.3 / -1.3
HOMO (spin up / spin down) in eV: -7.4 / -7.4
E_tot in eV: -11269.551
Kohn-Sham gap (spin up / spin down) in Ha: 0.22343 / 0.22306

```
17
Properties=species:S:1:pos:R:3:forces:R:3
N 0.7456 -1.6565 0.5300 0.733 -0.865 -2.844
'''

**Here it is**
H 4.3436 -3.5344 -0.6950 0.000 0.005 0.009
H 2.4785 -2.3523 0.3785 -0.012 -0.003 0.026
H -1.4177 5.1890 -1.8442 -0.007 0.014 0.006
H 1.0052 2.3624 3.4689 -0.016 0.024 -0.036
H 0.2106 -1.7928 4.1513 -0.008 -0.002 0.004
H -3.5447 4.2081 -0.9276 -0.023 0.012 0.001
H 0.3701 -2.2388 1.7653 -0.175 0.036 -0.059
H 5.0000 -2.9688 -3.0071 -0.009 0.002 0.004
H 1.5632 1.6433 -1.5388 -0.033 -0.016 -0.069
H 0.5642 0.4971 5.0217 -0.009 -0.023 -0.010
H 0.9900 1.9877 1.0583 0.005 0.025 0.017
H 1.8702 -0.0829 -3.2644 -0.026 0.018 0.018
```
Forces are in eV/Å.



ORCA calculation (wB97M-V/def2-TZVPD) on a cluster of 2 separate species, C7H14 in total.

Computed properties:
LUMO energy in eV: 1.1
HOMO in eV: -6.9